Google Translate fails on simple sentences: First version September-December 2016

{
  "formula": "Ba2Co2F11",
  "functional": "GGA+U",
  "state": "optimized geometry",
  "lattice": [[3.819, -6.614, 0.000], [3.819, 6.614, 0.000], [0.000, 0.000, 14.140]],
  "species": ["Co", "F", "F", "F", "F", "F", "F", "F", "F", "F", "Ba", "F", "Ba", "F", "F", "F", "F", "F", "F", "Co", "F", "F", "F", "F", "F", "F", "Co", "F", "F", "Co", "Ba", "F", "F", "Ba", "Co", "F", "F", "Ba", "F", "Ba", "F", "F", "F", "Co", "F"],
  "fractional_positions": [[0.025, 0.668, 0.550], [0.908, 0.837, 0.583], [0.113, 0.499, 0.490], [0.948, 0.601, 0.179], [0.501, 0.613, 0.156], [0.399, 0.346, 0.845], [0.940, 0.266, 0.674], [0.013, 0.116, 0.404], [0.387, 0.887, 0.823], [0.942, 0.577, 0.684], [0.527, 0.672, 0.493], [0.843, 0.669, 0.849], [0.328, 0.855, 0.160], [0.163, 0.071, 0.249], [0.423, 0.365, 0.350], [0.331, 0.174, 0.516], [0.635, 0.058, 0.017], [0.987, 0.410, 0.013], [0.285, 0.801, 0.601], [0.921, 0.147, 0.060], [0.755, 0.476, 0.515], [0.884, 0.897, 0.071], [0.929, 0.092, 0.916], [0.213, 0.284, 0.088], [0.423, 0.013, 0.347], [0.524, 0.279, 0.182], [0.225, 0.079, 0.394], [0.826, 0.157, 0.182], [0.590, 0.577, 0.680], [0.853, 0.775, 0.727], [0.820, 0.357, 0.337], [0.326, 0.060, 0.007], [0.516, 0.715, 0.934], [0.537, 0.180, 0.670], [0.332, 0.357, 0.216], [0.103, 0.987, 0.738], [0.721, 0.245, 0.848], [0.643, 0.463, 0.004], [0.654, 0.052, 0.512], [0.145, 0.473, 0.827], [0.199, 0.484, 0.267], [0.716, 0.929, 0.755], [0.734, 0.674, 0.341], [0.643, 0.975, 0.883], [0.071, 0.787, 0.421]],
  "ef_ev_per_fu": -41.98,
  "energy_corrected_mp2020_ev_per_atom": -5.41,
  "space_group": "P3_2 (145)",
  "crystal_system": "trigonal",
  "energy_ev_per_fu": -72.74
}

=====

{
  "formula": "Li3FeO3",
  "functional": "GGA+U",
  "state": "optimized geometry",
  "lattice": [[-9.467, 5.824, -1.902], [-1.829, -1.371, 4.909], [1.065, 3.234, 4.602]],
  "species": ["Fe", "O", "Li", "Li", "Fe", "O", "Li", "O", "Li", "O", "Li", "Li", "Li", "Fe", "Li", "O", "Li", "Fe", "O", "Li", "Li", "O", "Li", "O", "O", "O", "O", "O"],
  "fractional_positions": [[0.640, 0.069, 0.765], [0.749, 0.975, 0.062], [0.240, 0.454, 0.711], [0.994, 0.494, 0.735], [0.860, 0.069, 0.265], [0.989, 0.822, 0.345], [0.006, 0.506, 0.265], [0.869, 0.479, 0.049], [0.260, 0.454, 0.211], [0.251, 0.025, 0.938], [0.740, 0.546, 0.789], [0.876, 0.919, 0.839], [0.494, 0.506, 0.765], [0.140, 0.931, 0.735], [0.376, 0.081, 0.661], [0.631, 0.479, 0.549], [0.760, 0.546, 0.289], [0.360, 0.931, 0.235], [0.751, 0.975, 0.562], [0.506, 0.494, 0.235], [0.124, 0.081, 0.161], [0.489, 0.178, 0.155], [0.624, 0.919, 0.339], [0.249, 0.025, 0.438], [0.011, 0.178, 0.655], [0.369, 0.521, 0.451], [0.511, 0.822, 0.845], [0.131, 0.521, 0.951]],
  "ef_ev_per_fu": -13.62,
  "energy_corrected_mp2020_ev_per_atom": -6.09,
  "space_group": "P2_1/c (14)",
  "relative_energy_ev_per_atom": 0.023,
  "crystal_system": "monoclinic",
  "energy_ev_per_fu": -38.34
}

=====

{
  "formula": "ZnCuMo2O7",
  "functional": "GGA+U",
  "state": "optimized geometry",
### So much for the data records

Ernie Davis

Note: Systran is here.
Microsoft is here.

This collection should under no circumstances be taken as any kind of serious benchmark. Not only is it very small, but, as the title indicates, it was originally formed as a collection where Google Translate, specifically, failed; hence, it is inherently unfair to Google Translate. It is just an unsystematic collection of translation problems that seem like they should be easy, but trip up Google Translate and other machine translation programs as of fall 2016. I intend to check these intermittently to see what progress has been made. Microsoft Translate hedges its bets by producing two translations (sometimes the same).

  1. Fr: Maria mange son dîner.
    En correct: Maria eats her dinner.
    GT En. 11/16/16 Maria eats her dinner. [Correct]
    Bing En. 11/16/16 Maria eats his dinner.
    Systran. 10/17/16 Maria eats his dinner.
    Microsoft Translate. 11/16/16. Maria eats his dinner. Maria eats her dinner [Correct].

  2. En: The girls danced and they sang a song.
    Fr correct: Les filles ont dansé et elles ont chanté une chanson.
    GT Fr. 10/16/16 Les filles ont dansé et ils ont chanté une chanson.
    GT Fr. 12/15/16 Les filles dansaient et elles chantaient une chanson. [Correct].
    Bing Fr. 10/16/16 Les filles dansent et ils ont chanté une chanson.
    Systran. 10/17/16. Les filles danced et sang une chanson.
    Microsoft Translate. 11/16/16. Les filles dansent et ils ont chanté une chanson. Les filles dansaient et chantaient une chanson. [Correct]

    If you turn the sentence around, "The girls sang a song and they danced." then Systran gives "Les fille chantent une chanson et elles danced."

  3. Fr: Nous sommes lundi. [It's an odd idiom.]
    En: Today is Monday.
    GT and Bing En. 9/28/16; GT 12/15/16. We are Monday.
    Systran. 10/17/16. It is Monday [Correct]
    Microsoft Translate. 11/16/16. We're on Monday. We are Monday.

  4. En: Maria is my friend.
    Fr: Maria est mon amie. [Note: the masculine possessive pronoun is standard here, for reasons of euphony.]
    GT and Bing En. 9/29/16. Maria est mon ami.
    Analogously Spanish, Italian.
    GT 12/15/16. Maria est mon amie. [Correct]
    GT Hebrew: Maria hi (fem.) ha-haver (masc.) sheli.
    Systran. 10/17/16. Maria est mon ami.
    Microsoft Translate. 11/16/16. Maria est mon ami. Maria est mon amie.

  5. En: The telephone is working.
    De: Das Telefon funktioniert.
    GT and Bing De: (9.29/16) Das Telefon arbeitet.
    GT 12/15/16. Das Telefon funktioniert. [Correct]
    Systran. 10/17/16. Das Telefon funktioniert. [Correct]
    Microsoft Translate. 11/16/16. Das Telefon funktioniert. Das Telefon funktioniert. [Both correct]
    [Note: On 6/9/2015, GT gave the correct translation. See Davis & Marcus, CACM article.]

  6. En: The telephone in Maria's bedroom is working.
    Fr. Le téléphone dans la chambre de Maria fonctionne.
    GT and Bing Fr. 9/29/16. Le téléphone dans la chambre de Maria travaille.
    Analogously Spanish and Italian.
    GT Fr. 12/15/16. Le téléphone dans la chambre de Maria fonctionne. [Correct]
    Systran 10/17/16 Le téléphone dans la chambre de Maria fonctionne. [Correct]
    Microsoft Translate. 11/16/16. Le téléphone dans la chambre de Maria fonctionne. Le téléphone dans la chambre de Maria fonctionne.

  7. En: The electrician who is talking on the telephone is working.
    Fr: L'électricien qui parle au téléphone travaille.
    GT Fr 9/29/16: L'électricien qui parle sur le téléphone fonctionne.
    GT Fr 12/15/16: L'électricien qui parle au téléphone fonctionne.
    Bing Fr 9/29/16 L'électricien qui parle au téléphone fonctionne.
    Systran Fr: L'électricien qui parle au téléphone travaille. [Correct]
    Systran De: 10/17/16. Die The, die über die Telefon reden, arbeiten.
    Microsoft Translate. 11/16/16. L'électricien qui parle au téléphone travaille. [Correct] L'électricien qui parle au téléphone travaille.

  8. Fr: Elles
    Sp: Ellas
    GT and Bing Sp 9/29/16 and GT 12/15/16: Ellos.
    Interestingly GT 9/29/16 correctly translates Sp;"Ellas" as Fr:"Elles"
    Bing translates Sp:"Ellas" incorrectly as Fr:"Eux".
    Systran 10/17/16. Ellas [Correct]. However, translating Sp: Ellas to Fr. it gives "Leur" (wrong).
    Microsoft Translate Sp. 11/16/16. They [sic]. Ellos. Translating Ellas (Sp) to French it offers "Eux" and "les", both wrong.

  9. Fr. Il pense l'avoir aimer.
    En. He thinks he loved her.
    GT En. 9/30/16: It think I love.
    GT En. 12/15/16: He thinks he loves her.
    Bing En. 9/30/16. It think I have love.
    Systran 10/17/16. He thinks he loved her. [Correct]
    Microsoft Translate. 11/16/16. It think I have love. He thinks he likes him [both wrong, as far as I know].

  10. Fr. Est-ce qu'Hélène et Marie sont soeurs?
    En. Are Helen and Mary sisters?
    GT En. 9/30/16 Is Helen and Mary are sisters?
    GT En 12/15/16 Are Hélène and Marie sisters? [Correct]
    Bing Fr. 9/30/16. This is what Helen and Mary are sisters.
    Systran 10/17/16. Are Helen and Mary sisters [Correct]?
    Microsoft Translate. 11/16/16. Are Helen and Marie sisters? [Correct] This is what Helen and Marie are sisters?

  11. Fr. Combien d'enfants ont Michel et Jacqueline?
    En. How many children do Michael and Jacqueline have?
    GT En. 9/30/16. How many children Michael and Jacqueline?
    GT En 12/15/16. How many children have Michel and Jacqueline [Correct, but stilted].
    Bing En. 9/30/16. Michel and Jacqueline have how many children?
    Systran 10/17/16. How many children have Michel and Jacqueline? [Correct, though stilted].
    Microsoft Translate. 11/16/16 Michel and Jacqueline have how many children? How many children have Michel and Jacqueline? [Both correct, though awkward]

  12. Fr. Avoir un enfant sans être marié est très commun.
    En. Having a child without being married is very common.
    GT En 9/30/16. Have a child without being married is very common.
    GT En 12/15/16. Having a child without being married is very common. i [Correct]
    Bing: It is very common to have a child without being married (Correct).
    Systran 10/17/16 Having a child without being married is very common. [Correct].
    Microsoft Translate. 11/16/16 Having a child without being married is very common. It is very common to have a child without being married. [Both correct].

  13. Fr. Combien de petits-fils ont ils?
    En. How many grandsons do they have?
    GT En. 9/30/16. How many grandchildren son were they?
    GT En. 12/15/16. How many grandsons have they? (Right, but stilted).
    Bing En. 9/30/16. How many grandsons have they? (Right, but stilted).
    Systran 10/17/16 How many grandsons do they have? [Correct]
    Microsoft Translate. 11/16/16 How many grandsons have they? How many grandsons have they? [Both correct but stilted].

  14. Fr. Les clés sont à ma mére.
    En. The keys belong to my mother.
    GT, Bing En 9/30/16. GT 12/15/16 The keys are to my mother.
    Systran 10/17/16. The keys are my own.
    Microsoft Translate. 11/16/16 The keys are to my mother. The keys are to my mother.

  15. En. I am eighteen.
    Fr. J'ai dix-huit ans.
    GT Fr. 9/30/16, 12/15/16. J'ai dix-huit ans. (Correct)
    Bing Fr. 9/30/16. I ' m eighteen. [sic, with a space on both sides of the apostrophe].
    Systran 10/17/16. Je suis dix-huit. [Wrong, as far as I know.]
    Microsoft Translate. 11/16/16. J'ai dix-huit ans [Correct]. I ' m eighteen [sic, with spaces on either side of the apostrophe.

  16. Fr. Mais ça n'a l'air très amusant.
    En. But it does not seem very amusing.
    GT En. 10/1/16. But it has the air fun.
    GT En 12/15/16/ But it does look very fun.
    Bing En. 10/1/16. But it looks very fun.
    Systran 10/17/16. But it looks very funny.
    Microsoft Translate. 11/16/16 But it looks very amusing. But it looks very fun.

  17. Fr. Plus le visage est sérieux, plus le sourire est beau.
    En. The more serious the face, the more beautiful the smile.
    GT En. 10/1/16. More serious is the face, smile more beautiful
    GT En. 12/15/16 The more serious the face, the smile is beautiful.
    Bing En. 10/1/16. More the face is serious, more of the smile is beautiful.
    Systran 10/17/16. The more serious the face, the more beautiful the smile is [Correct]
    Microsoft Translate 11/16/16. The more the face is serious, the more beautiful the smile. [Correct, though a little awkward.] More the face is serious, more of the smile is beautiful.

  18. Fr. Il n'a jamais été ingénieur.
    En. He was never an engineer.
    GT Fr. 10/1/16. It has never been an engineer.
    GT Fr 12/15/16. He was never an engineer. [Correct]
    Bing Fr. 10/1/16. He was never an engineer. [Correct]
    Systran 10/17/16. He has never been an engineer. [Correct]
    Microsoft Translate. 11/16/16. He was never an engineer. He's never been an engineer. [Both correct]

  19. Fr. Ne manque pas de m'ecrire!
    En. Do not fail to write to me.
    GT En, 10/1/16. No shortage of writing me.
    GT En. 12/15/16. Do not fail to write me. [Correct. Actually I had a debate on FB about this; the British think this is an Americanism]
    Bing En, 10/1/16. No lack of me write.
    Systran 10/17/16. Don't miss me!
    Microsoft Translate. 11/16/16. No lack of me write! Don't fail to write me [Correct]

  20. Fr. Il n'y a qu'un an que je suis dans ce secteur.
    En. I have only been in this sector for a year (?).
    GT En 10/1/16. There is a year that I am in this sector.
    GT En 12/15/16. I have only been in this sector for a year. [Correct]
    Bing En. 10/1/16. There is only one year that I'm in this sector
    Systran 10/17/16. I have been in this sector for only one year.
    Microsoft Translate. 11/16/16. There is only one year that I'm in this sector. I'm in this area just a year ago.

  21. Fr. Vous vous êtes mis en congé.
    En. You took a leave.
    GT En. 10/1/16. You've put on leave.
    GT En 12/15/16. You went on leave. [Correct]
    Bing En. 10/1/16. If you wish to leave.
    Systran 10/17/16. You went on leave. [Correct]
    Microsoft Translate. 11/16/16. You've been on leave [Correct]. If you wish to leave.

  22. En. Pierre's parents miss him.
    Fr. Pierre manque à ses parents. Alternatively: Il manque à les parents de Pierre.
    GT Fr. 10/16/16 and 12/15/16. Les parents de Pierre lui manquent.
    Bing Fr. 10/16/16. Les parents de Pierre lui manquer.
    Systran 10/17/16 Les parents de Pierre lui manquent.
    Microsoft Translate. 11/16/16 Les parents de pierre lui manquent. Les parents de pierre lui manquer.

  23. Fr. Le policier dit "Au revoir" et il me donne congé.
    En. The policeman says "Goodbye" and he releases me.
    GT Fr. and Bing Fr. 10/16/16. The policemen said "Goodbye" and it gives me leave.
    [Note: The choice of the past tense is fine, and "gives me leave" is not far off; the problem is the pronoun.]
    GT Fr. 12/15/16 The policemen said "Goodbye" and he gives me leave.
    Systran 10/17/16. The policeman says "Goodbye" and he gives me leave. [OK].
    Microsoft Translate. 11/16/16 The policemen said "Goodbye" and it gives me leave. The cop said "Goodbye" and he gives me leave.

  24. Fr: Chaque fois que Marie dit "Je t'aime", je suis heureux.
    En: Whenever Mary says "I love you", I'm happy.
    GT En. 10/16/16. Whenever Mary said "I love you", I'm happy.
    GT En. 12/15/16. Every time Mary says "I love you," I'm happy. [Correct]
    Bing En. 10/16/16. Whenever Mary says "I love you", I'm happy. [Correct]
    Systran 10/17/16. Every time Mary says "I love you," I'm happy. [Correct]
    Microsoft Translate. 11/16/16 Whenever Mary says "I love you", I'm happy. Whenever Mary says "I love you", I'm happy. [Correct]

  25. En: They were pregnant.
    Fr: Elles étaient enceintes.
    GT Fr 10/17/16 and 12/15/16. Ils étaient enceintes.
    Bing Fr 10/17/16. Qu'elles étaient enceintes.
    Systran 10/17/16. Ils étaient enceintes.
    Microsoft Translate. 11/16/16 Qu'elles étaient enceintes. Ils étaient enceintes.
    Thanks to Richard Socher.
    Similarly, all four programs translate "They" as "Ils" in "They have beautiful breasts" and "They all have healthy ovaries". (12/4/16).

  26. Sp: No es bueno dormir mucho
    En: It is not good to sleep a lot.
    GT En 10/23/16. Not good sleep much.
    GT En 12/15/16: It is not good to sleep a lot [Correct].
    Bing En 10/23/16. It is not good to sleep much. [Correct]
    Systen En 10/23/16. It's not good sleeping a lot. [Barely adequate]
    Microsoft Translate. 11/16/16. It's not good to sleep much. [Correct]. Not is good sleep much.
    Example from Could the Language Barrier Actually Fall Within the Next 10 Years? by David Arbesú, New Republic, March 28, 2016.

  27. En. The sheep with the soft black wool are asleep.
    Fr. Les moutons avec la laine noire douce dorment.
    GT Fr. 10/23/16 Le mouton avec la laine noire douce sont endormis.
    GT Fr. 12/15/16 Les moutons avec la douce laine noire dorment. [Correct]
    Bing Fr. 10/23/16. Le mouton avec la laine noire doux est endormi.
    Systran Fr. 10/23/16. Les moutons avec la laine noire molle dorment. [Correct]
    Microsoft Translate. 11/16/16 Les moutons avec la laine noire molle dorment. [Correct] Le mouton avec la laine noire molle est endormi.

  28. En. The sheep with the soft black wool is asleep.
    Sp. La oveja con la lana negra suave está durmiendo.
    GT Sp. 10/23/16. Las ovejas con la lana negra suave está dormido.
    GT Sp. 10/23/16. La oveja con la suave lana negra está dormido. [Correct]
    Bing Sp. 10/23/16. Las ovejas con la lana negra suave está durmiendo.
    Systran Sp. 10/23/16 Las ovejas con la lana negra suave están dormiendo.
    Microsoft Translate. 11/16/16 Las ovejas con la lana negra blanda duermen. Las ovejas con la lana negra suave está durmiendo.

  29. En. The shepherd sheared all the sheep.
    Fr. Le berger cisaillé tous les moutons.
    GT Fr. 10/23/16 Le berger cisaillé tous les moutons. [Correct].
    GT Fr. 12/15/16 Le berger cisaillé toutes les brebis. [Still correct].
    Bing Fr. 10/23/16. Le berger tondus tous les moutons. [?? the form of "tondus" seems strange to me]
    Systran Fr. 10/23/16. Le berger sheared tous les moutons.
    Microsoft Translate. 11/16/16 Le berger tondus tous les moutons. Le berger a cisaillement tous les moutons [Correct].

  30. En. She is very rude.
    Fr. Elle est très impoli.
    GT Fr. 10/23/16 Elle est très désagréable. [Correct]
    Bing Fr. 10/23/16. Elle est très rude.
    Systran Fr. 10/23/16. Elle est très rude.
    Microsoft Translate. 11/16/16. Elle est très grossière. [Correct]. Elle est très rude.

  31. Fr. La copine de mon père mange son dîner.
    English. My father's girlfriend eats her dinner.
    GT, Bing 11/22/16, GT 12/15/16. My father's girlfriend eats his dinner.
    Systran. 11/22/16. My father's girlfriend eats her dinner [Correct].
    Microsoft Translate. My dad's girlfriend eats his dinner. My father's girlfriend eats his dinner.

    If you change it to L'amie de mon père mange son dîner (My father's friend (f.) eats her dinner.), all four translators give "his dinner" including both solutions from Microsoft.